The reader should set down the calculation results further down from the line with "0.2476 0.7336" to the end with every line break kept.
┌──
(1)
Starting from a structure optimized by DFT (GGA-PBE), the PXRD pattern of Zr3BeSn2 was computed for Cu Kα (λ = 1.5418 Å).

Structure:
```
data_Zr3BeSn2
_chemical_formula_sum 'Zr12 Be4 Sn8'
_symmetry_space_group_name_H-M 'P n m a'
_symmetry_Int_Tables_number 62
_cell_length_a 11.5065
_cell_length_b 3.9496
_cell_length_c 10.9808
_cell_angle_alpha 90.00
_cell_angle_beta 90.00
_cell_angle_gamma 90.00
loop_
_symmetry_equiv_pos_as_xyz
'x,y,z'
'-x,-y,-z'
'-x+1/2,-y,z+1/2'
'x+1/2,y,-z+1/2'
'x+1/2,-y+1/2,-z+1/2'
'-x+1/2,y+1/2,z+1/2'
'-x,y+1/2,-z'
'x,-y+1/2,z'
loop_
_atom_site_label
_atom_site_type_symbol
_atom_site_fract_x
_atom_site_fract_y
_atom_site_fract_z
Zr1 Zr 0.0508 0.2500 0.1160
Zr2 Zr 0.1178 0.7500 0.5547
Zr3 Zr 0.2295 0.2500 0.7751
Be1 Be 0.1254 0.2500 0.3687
Sn1 Sn 0.0140 0.7500 0.3062
Sn2 Sn 0.1945 0.7500 0.9882
```

Main lines, in order of rising 2θ (10 to 90 degrees two-theta):
28.91°, intensity 41
31.96°, intensity 46
33.38°, intensity 100
33.57°, intensity 69
34.30°, intensity 36
35.22°, intensity 35
36.53°, intensity 39
39.62°, intensity 47
42.21°, intensity 36
45.96°, intensity 53

(2)
Starting from a structure optimized by DFT (GGA-PBE), the PXRD pattern of Tb2CeNd3S6 was computed for Cu Kα (λ = 1.5418 Å).

Structure:
```
data_Tb2CeNd3S6
_chemical_formula_sum 'Tb4 Ce2 Nd6 S12'
_symmetry_space_group_name_H-M 'C 1 2/m 1'
_symmetry_Int_Tables_number 12
_cell_length_a 6.9343
_cell_length_b 12.0399
_cell_length_c 6.9716
_cell_angle_alpha 90.00
_cell_angle_beta 109.49
_cell_angle_gamma 90.00
loop_
_symmetry_equiv_pos_as_xyz
'x,y,z'
'-x,-y,-z'
'-x,y,-z'
'x,-y,z'
'x+1/2,y+1/2,z'
'-x+1/2,-y+1/2,-z'
'-x+1/2,y+1/2,-z'
'x+1/2,-y+1/2,z'
loop_
_atom_site_label
_atom_site_type_symbol
_atom_site_fract_x
_atom_site_fract_y
_atom_site_fract_z
Tb1 Tb 0.0000 0.1671 0.0000
Ce1 Ce 0.0000 0.5000 0.0000
Nd1 Nd 0.0000 0.0000 0.5000
Nd2 Nd 0.0000 0.3334 0.5000
S1 S 0.2421 0.0000 0.2394
S2 S 0.2488 0.3313 0.2399
```

Main lines, in order of rising 2θ (10 to 90 degrees two-theta):
27.19°, intensity 57
27.29°, intensity 19
31.52°, intensity 100
45.08°, intensity 24
45.23°, intensity 48
53.50°, intensity 19
53.62°, intensity 16
56.13°, intensity 13
65.81°, intensity 12
74.65°, intensity 11

(3)
Starting from a structure optimized by DFT (GGA-PBE), the PXRD pattern of HoBi2O6 was computed for Cu Kα (λ = 1.5418 Å).

Structure:
```
data_HoBi2O6
_chemical_formula_sum 'Ho2 Bi4 O12'
_symmetry_space_group_name_H-M 'P m n 21'
_symmetry_Int_Tables_number 31
_cell_length_a 8.2507
_cell_length_b 6.0761
_cell_length_c 5.6462
_cell_angle_alpha 90.00
_cell_angle_beta 90.00
_cell_angle_gamma 90.00
loop_
_symmetry_equiv_pos_as_xyz
'x,y,z'
'-x+1/2,-y,z+1/2'
'-x,y,z'
'x+1/2,-y,z+1/2'
loop_
_atom_site_label
_atom_site_type_symbol
_atom_site_fract_x
_atom_site_fract_y
_atom_site_fract_z
Ho1 Ho 0.0000 0.1682 0.0000
Bi1 Bi 0.2476 0.7336 0.9744
O1 O 0.0000 0.2774 0.6210
O2 O 0.0000 0.8092 0.8735
O3 O 0.1808 0.4251 0.1402
O4 O 0.1903 0.9885 0.2374
```

Main lines, in order of rising 2θ (10 to 90 degrees two-theta):
18.13°, intensity 13
19.05°, intensity 19
21.50°, intensity 51
29.40°, intensity 22
30.61°, intensity 100
31.69°, intensity 23
43.77°, intensity 19
49.32°, intensity 21
52.91°, intensity 13
55.78°, intensity 23

(4)
Starting from a structure optimized by DFT (GGA-PBE), the PXRD pattern of CsIn3Ga was computed for Cu Kα (λ = 1.5418 Å).

Structure:
```
data_CsIn3Ga
_chemical_formula_sum 'Cs2 In6 Ga2'
_symmetry_space_group_name_H-M 'P 63/m m c'
_symmetry_Int_Tables_number 194
_symmetry_space_group_name_Hall '-P 6c 2c'
_cell_length_a 7.7057
_cell_length_b 7.7057
_cell_length_c 6.4282
_cell_angle_alpha 90.00
_cell_angle_beta 90.00
_cell_angle_gamma 120.00
loop_
_atom_site_label
_atom_site_type_symbol
_atom_site_fract_x
_atom_site_fract_y
_atom_site_fract_z
Cs1 Cs 0.3333 0.6667 0.2500
In1 In 0.1814 0.3628 0.7500
Ga1 Ga 0.0000 0.0000 0.0000
```

Main lines, in order of rising 2θ (10 to 90 degrees two-theta):
26.72°, intensity 11
27.76°, intensity 21
└──
Bi1 Bi 0.2476 0.7336 0.9744
O1 O 0.0000 0.2774 0.6210
O2 O 0.0000 0.8092 0.8735
O3 O 0.1808 0.4251 0.1402
O4 O 0.1903 0.9885 0.2374
```

Main lines, in order of rising 2θ (10 to 90 degrees two-theta):
18.13°, intensity 13
19.05°, intensity 19
21.50°, intensity 51
29.40°, intensity 22
30.61°, intensity 100
31.69°, intensity 23
43.77°, intensity 19
49.32°, intensity 21
52.91°, intensity 13
55.78°, intensity 23

(4)
Starting from a structure optimized by DFT (GGA-PBE), the PXRD pattern of CsIn3Ga was computed for Cu Kα (λ = 1.5418 Å).

Structure:
```
data_CsIn3Ga
_chemical_formula_sum 'Cs2 In6 Ga2'
_symmetry_space_group_name_H-M 'P 63/m m c'
_symmetry_Int_Tables_number 194
_symmetry_space_group_name_Hall '-P 6c 2c'
_cell_length_a 7.7057
_cell_length_b 7.7057
_cell_length_c 6.4282
_cell_angle_alpha 90.00
_cell_angle_beta 90.00
_cell_angle_gamma 120.00
loop_
_atom_site_label
_atom_site_type_symbol
_atom_site_fract_x
_atom_site_fract_y
_atom_site_fract_z
Cs1 Cs 0.3333 0.6667 0.2500
In1 In 0.1814 0.3628 0.7500
Ga1 Ga 0.0000 0.0000 0.0000
```

Main lines, in order of rising 2θ (10 to 90 degrees two-theta):
26.72°, intensity 11
27.76°, intensity 21